........
Entry 1:
Here is an optimized crystal structure of K3Hg3S2Br5O6 from Materials Project. Energies are from GGA-PBE.

Cell and atoms, written as POSCAR:
```
K3Hg3S2Br5O6
1.0
23.017 0.000 0.000
0.000 6.315 0.000
0.000 0.000 12.910
K Hg S Br O
12 12 8 20 24
Cartesian
0.112 1.579 1.636 K
0.226 4.736 4.730 K
2.705 4.736 8.164 K
8.803 1.579 1.709 K
11.282 1.579 11.185 K
11.397 4.736 8.091 K
11.621 1.579 4.819 K
11.735 4.736 1.725 K
14.214 4.736 11.202 K
20.312 1.579 4.746 K
22.791 1.579 8.180 K
22.905 4.736 11.274 K
4.180 1.579 4.569 Hg
4.378 1.579 11.352 Hg
4.366 4.736 1.557 Hg
7.143 1.579 8.012 Hg
7.131 4.736 4.897 Hg
7.329 4.736 11.024 Hg
15.689 1.579 1.886 Hg
15.887 1.579 8.014 Hg
15.874 4.736 4.898 Hg
18.651 1.579 11.353 Hg
18.639 4.736 1.559 Hg
18.837 4.736 8.342 Hg
1.837 1.579 5.436 S
1.957 1.579 10.851 S
9.552 4.736 4.396 S
9.672 4.736 11.891 S
13.346 1.579 1.019 S
13.465 1.579 8.514 S
21.061 4.736 2.059 S
21.180 4.736 7.474 S
1.852 4.736 1.583 Br
4.289 1.579 1.663 Br
4.521 4.736 5.001 Br
4.622 1.579 8.060 Br
4.667 4.736 11.181 Br
6.841 1.579 4.726 Br
6.886 4.736 1.605 Br
6.988 1.579 11.456 Br
7.220 4.736 8.118 Br
9.656 1.579 8.038 Br
13.361 4.736 4.872 Br
15.797 1.579 4.792 Br
16.030 4.736 1.454 Br
16.131 1.579 11.306 Br
16.176 4.736 8.184 Br
18.350 1.579 1.729 Br
18.395 4.736 4.851 Br
18.496 1.579 7.909 Br
18.729 4.736 11.248 Br
21.165 1.579 11.328 Br
0.893 1.579 4.285 O
1.232 1.579 12.136 O
1.665 0.349 6.264 O
1.667 0.352 10.052 O
1.667 2.806 10.052 O
1.665 2.808 6.264 O
9.844 3.507 12.719 O
9.841 3.509 3.597 O
9.841 5.963 3.597 O
9.844 5.966 12.719 O
10.276 4.736 5.681 O
10.615 4.736 10.740 O
12.402 1.579 2.170 O
12.741 1.579 7.229 O
13.174 0.349 0.191 O
13.176 0.352 9.313 O
13.176 2.806 9.313 O
13.174 2.808 0.191 O
21.352 3.507 6.646 O
21.350 3.509 2.858 O
21.350 5.963 2.858 O
21.352 5.966 6.646 O
21.785 4.736 0.774 O
22.124 4.736 8.625 O
```

Output
As for the spin magnetization: 0.00 μB per atom. The symmetry is Pnma. The formation energy comes out at -1.409 eV/atom.


Entry 2:
Here is an optimized crystal structure of KSi2HO5 from Materials Project. Energies are from GGA-PBE.

Cell and atoms, written as POSCAR:
```
KSi2HO5
1.0
7.396 -4.237 0.000
7.396 4.237 0.000
-5.382 0.000 8.303
K Si H O
4 8 4 20
Cartesian
0.000 0.000 0.000 K
-2.691 0.000 4.151 K
-0.547 0.000 8.143 K
9.957 0.000 0.160 K
2.730 1.580 2.687 Si
2.213 1.587 5.833 Si
7.197 1.587 2.470 Si
2.730 -1.580 2.687 Si
6.680 1.580 5.615 Si
2.213 -1.587 5.833 Si
7.197 -1.587 2.470 Si
6.680 -1.580 5.615 Si
5.063 2.273 1.670 H
4.347 2.273 6.633 H
5.063 -2.273 1.670 H
4.347 -2.273 6.633 H
0.846 2.443 6.121 O
3.755 2.543 1.938 O
2.758 1.860 4.317 O
6.104 2.089 1.385 O
3.305 2.089 6.918 O
3.074 0.000 2.400 O
5.655 2.543 6.365 O
8.563 2.443 2.182 O
1.834 0.000 6.051 O
6.652 1.860 3.985 O
2.758 -1.860 4.317 O
7.575 0.000 2.252 O
0.846 -2.443 6.121 O
3.755 -2.543 1.938 O
6.336 0.000 5.903 O
6.104 -2.089 1.385 O
3.305 -2.089 6.918 O
6.652 -1.860 3.985 O
5.655 -2.543 6.365 O
8.563 -2.443 2.182 O
```

Output
As for the spin magnetization: 0.00 μB per atom. The symmetry is C2/m. The formation energy comes out at -2.787 eV/atom.


Entry 3:
Here is an optimized crystal structure of Lu2MgRu from Materials Project. Energies are from GGA-PBE.

Cell and atoms, written as POSCAR:
```
Lu2MgRu
1.0
0.000 3.479 3.479
3.479 0.000 3.479
3.479 3.479 0.000
Lu Mg Ru
2 1 1
Cartesian
1.740 1.740 1.740 Lu
5.219 5.219 5.219 Lu
0.000 0.000 0.000 Mg
3.479 3.479 3.479 Ru
```

Output
The symmetry is Fm-3m. The formation energy comes out at -0.261 eV/atom.


Entry 4:
Here is an optimized crystal structure of Ce3Ga from Materials Project. Energies are from GGA-PBE.

Cell and atoms, written as POSCAR:
```
Ce3Ga
1.0
4.653 0.000 0.000
0.000 4.653 0.000
0.000 0.000 4.653
Ce Ga
3 1
Cartesian
0.000 0.000 2.327 Ce
0.000 2.327 0.000 Ce
2.327 0.000 0.000 Ce
2.327 2.327 2.327 Ga
```

Output
The symmetry is Pm-3m. The formation energy comes out at -0.251 eV/atom.


Entry 5:
........

Could you count the lines earlier on that contain the word "Project" and give the number alone?

4